Right, better finish off this epic tale (eh?).
So after picking up a new car in Pamplona and driving round the Zaragoza ring road, eventually arriving around the plains at Belchite (pronounced Bel-Cheetay, and not Belshite!) during the middle of the day. Heading straight to El Planeron.
El Planeron is one of the main areas of steppe/semi-desert habitat, close to my hotel. A drive around the track, just to suss the place out really, had excellent views of 4 species of Lark (Calandra, Short-toed, Lesser Short-toed and Thekla), Stone Curlew and both Marsh and Montagu's Harriers. But by gum it was hot! It was pleasantly warm in the Pyrenees, but here the temperature peaked at 35 degrees celsius. Quite a shock to the system, too hot for me!

Considering the heat, I decided to try a spot for Lesser Kestrels, about an hour's drive away in Los Monegros. I'd heard conflicting stories about this spot. One group staying at Boletas told me that Lesser Kestrels there were dead easy, whereas Cristian told me that this colony had gone, and sadly Lesser Kestrel numbers are crashing all over Spain. Although I had a feeling that Cristian's local knowledge would be correct, I had to check it out for my own curiosity.
On arrival at some roadside derelict farm buildings, there were about six Kestrels up in the air and coming down to land on the rooves, along with Jackdaws and Choughs. All the male birds I could see were Common Kestrels. Oh dear, there's going to be some disappointed birders. But there's a lesson here, you've got to check them for yourself. Don't just turn up, look at some Kestrels and go away just assuming they're Lesser Kestrels!
I'd had enough at this point, so drove over to check into my last hotel. Trouble is, the room was just as hot as outside! This also explains the lack of photos so far. An evening check of El Planeron also yielded a Southern Grey Shrike and Whinchat. The main reason for sussing out El Planeron was to come here at dawn the next morning to try for Dupont's Lark. At which point I went into Rolf Harris mode:

Data records that have nothing to do with the article
+++
Structure and calculated powder XRD pattern of RbPd4Cl7 (a structure optimized by DFT (GGA-PBE); Cu Kα, 1.54184 Å).
Neutral-atom scattering factors, no anomalous dispersion.

Structural model:
abc: 17.745 7.425 4.947
angles: 90.00 90.00 90.00
Fractional positions:
Rb (0.000, 0.039, 0.000)
Rb (0.500, 0.961, 0.500)
Pd (0.111, 0.585, 0.226)
Pd (0.229, 0.769, 0.543)
Pd (0.271, 0.231, 0.043)
Pd (0.389, 0.415, 0.726)
Pd (0.611, 0.415, 0.726)
Pd (0.729, 0.231, 0.043)
Pd (0.771, 0.769, 0.543)
Pd (0.889, 0.585, 0.226)
Cl (0.000, 0.452, 0.398)
Cl (0.099, 0.847, 0.500)
Cl (0.143, 0.315, 0.011)
Cl (0.219, 0.738, 0.037)
Cl (0.281, 0.262, 0.537)
Cl (0.357, 0.685, 0.511)
Cl (0.401, 0.153, 0.000)
Cl (0.500, 0.548, 0.898)
Cl (0.599, 0.153, 0.000)
Cl (0.643, 0.685, 0.511)
Cl (0.719, 0.262, 0.537)
Cl (0.781, 0.738, 0.037)
Cl (0.857, 0.315, 0.011)
Cl (0.901, 0.847, 0.500)

Top 10 peaks for 5 to 70 degrees two-theta, low angle first:
| d_spacing | I (rel.) |
| --- | --- |
| 8.872 | 35 |
| 6.849 | 33 |
| 4.765 | 53 |
| 4.626 | 37 |
| 4.117 | 71 |
| 4.010 | 53 |
| 3.807 | 51 |
| 3.425 | 100 |
| 3.379 | 45 |
| 2.030 | 34 |

---

Structure and calculated powder XRD pattern of Rb2RePdCl6 (a structure optimized by DFT (GGA-PBE); Cu Kα, 1.54184 Å).
Neutral-atom scattering factors, no anomalous dispersion.

Structural model:
abc: 7.132 7.132 7.132
angles: 113.98 113.98 100.78
Fractional positions:
Rb (0.250, 0.750, 0.500)
Rb (0.750, 0.250, 0.500)
Re (0.000, 0.000, 0.000)
Pd (0.500, 0.500, 0.000)
Cl (0.220, 0.220, 0.440)
Cl (0.220, 0.780, 0.000)
Cl (0.253, 0.253, 0.000)
Cl (0.747, 0.747, 0.000)
Cl (0.780, 0.220, 0.000)
Cl (0.780, 0.780, 0.560)

Top 10 peaks for 5 to 70 degrees two-theta, low angle first:
| d_spacing | I (rel.) |
| --- | --- |
| 5.908 | 22 |
| 5.495 | 38 |
| 3.885 | 66 |
| 3.503 | 100 |
| 2.747 | 74 |
| 2.273 | 22 |
| 2.162 | 49 |
| 1.962 | 21 |
| 1.943 | 24 |
| 1.752 | 36 |

---

Structure and calculated powder XRD pattern of RbPdRuCl6 (a structure optimized by DFT (GGA-PBE); Cu Kα, 1.54184 Å).
Neutral-atom scattering factors, no anomalous dispersion.

Structural model:
abc: 6.437 6.437 7.368
angles: 90.00 90.00 120.00
Fractional positions:
Rb (0.000, 0.000, 0.000)
Pd (0.667, 0.333, 0.500)
Ru (0.333, 0.667, 0.500)
Cl (0.019, 0.372, 0.681)
Cl (0.019, 0.647, 0.319)
Cl (0.353, 0.372, 0.319)
Cl (0.353, 0.981, 0.681)
Cl (0.628, 0.647, 0.681)
Cl (0.628, 0.981, 0.319)

Top 10 peaks for 5 to 70 degrees two-theta, low angle first:
| d_spacing | I (rel.) |
| --- | --- |
| 7.368 | 66 |
| 4.446 | 100 |
| 3.218 | 20 |
| 2.949 | 29 |
| 2.607 | 18 |
| 2.424 | 74 |
| 2.026 | 23 |
| 1.858 | 25 |
| 1.599 | 27 |
| 1.475 | 15 |

---

Which formula does entry 3 have?
RbPdRuCl6

* * * * *

This entry pairs a crystal structure of Zn2FeCu5 with its calculated PXRD pattern. Radiation: Cu Kα X-rays. Structure: a cell relaxed with GGA-PBE.
Neutral-atom scattering factors, no anomalous dispersion.

Largest 4 diffraction maxima, by angle, 2θ = 10–90°:
+++

Getting here before sun-arise, an absolute cacophony of Lark song. I had to remind myself of Dupont's Lark with my MP3 player (very useful to recognise yourself with unfamiliar bird song!), there were certainly around 3 or 4 Dupont's Larks singing all around the car park. And what an evocative song it is too!
As it started to get light at least you can then try to scan for them. The nearest I got was when one Dupont's was singing away, as soon as I got the binoculars in that area, a bird dropped from a bush down onto the ground straight away. Damn, it could've been Dupont's I suppose, but to be honest it could've been one of five different species of Lark. As the sun gets higher the Dupont's Larks start to quieten down. There are a couple of ponds by the roadside here, which had excellent views of Melodious and Great Reed Warbler.
For most of the day it was very tough going again with the heat. Trying to drive along some more tracks in the Los Monegros area, managed to see a Roller and a couple of immature Golden Eagles, but that was about it.

/*
[1]
For Rb2MgF4, a cell relaxed with PBE gives the theoretical XRD peak list in this record (Cu Kα, 1.54184 Å).
Peak positions follow from Bragg's law for the DFT cell and can differ from measured ones.

Structure:
```
data_Rb2MgF4
_symmetry_space_group_name_H-M 'P 1'
_symmetry_Int_Tables_number 1
_symmetry_space_group_name_Hall 'P 1'
_cell_length_a 7.5934
_cell_length_b 7.5934
_cell_length_c 7.5934
_cell_angle_alpha 148.44
_cell_angle_beta 148.44
_cell_angle_gamma 45.23
loop_
_atom_site_label
_atom_site_type_symbol
_atom_site_fract_x
_atom_site_fract_y
_atom_site_fract_z
Rb1 Rb 0.1483 0.1483 0.0000
Rb2 Rb 0.8517 0.8517 0.0000
Mg1 Mg 0.5000 0.5000 0.0000
F1 F 0.0000 0.5000 0.5000
F2 F 0.3554 0.3554 0.0000
F3 F 0.5000 0.0000 0.5000
F4 F 0.6446 0.6446 0.0000
```

Main lines, most intense first (2θ = 10–90°):
2theta, Rel. int.
28.85, 100.0
30.62, 73.9
40.20, 63.7
43.85, 50.8
53.34, 36.7
38.53, 24.8

[2]
For Sm4GaSbS9, a cell relaxed with PBE gives the theoretical XRD peak list in this record (Cu Kα, 1.54184 Å).
Peak positions follow from Bragg's law for the DFT cell and can differ from measured ones.

Structure:
```
data_Sm4GaSbS9
_symmetry_space_group_name_H-M 'P 1'
_symmetry_Int_Tables_number 1
_symmetry_space_group_name_Hall 'P 1'
_cell_length_a 13.7245
_cell_length_b 10.0491
_cell_length_c 10.0491
_cell_angle_alpha 89.14
_cell_angle_beta 90.00
_cell_angle_gamma 90.00
loop_
_atom_site_label
_atom_site_type_symbol
_atom_site_fract_x
_atom_site_fract_y
_atom_site_fract_z
Sm1 Sm 0.1011 0.1718 0.8282
Sm2 Sm 0.1038 0.6675 0.4438
Sm3 Sm 0.1810 0.4498 0.1184
Sm4 Sm 0.1855 0.9026 0.1206
Sm5 Sm 0.3145 0.4026 0.6206
Sm6 Sm 0.3190 0.9498 0.6184
Sm7 Sm 0.3962 0.1675 0.9438
Sm8 Sm 0.3989 0.6718 0.3282
Sm9 Sm 0.6011 0.3282 0.6718
Sm10 Sm 0.6038 0.9438 0.1675
Sm11 Sm 0.6810 0.6184 0.9498
Sm12 Sm 0.6855 0.6206 0.4026
Sm13 Sm 0.8145 0.1206 0.9026
Sm14 Sm 0.8190 0.1184 0.4498
Sm15 Sm 0.8962 0.4438 0.6675
Sm16 Sm 0.8989 0.8282 0.1718
Ga1 Ga 0.0923 0.1686 0.3781
Ga2 Ga 0.4077 0.6686 0.8781
Ga3 Ga 0.5923 0.8781 0.6686
Ga4 Ga 0.9077 0.3781 0.1686
Sb1 Sb 0.1130 0.6623 0.8204
Sb2 Sb 0.3870 0.1623 0.3204
Sb3 Sb 0.6130 0.3204 0.1623
Sb4 Sb 0.8870 0.8204 0.6623
S1 S 0.0000 0.3634 0.3634
S2 S 0.0000 0.9943 0.9943
S3 S 0.0062 0.3743 0.9839
S4 S 0.0682 0.6791 0.1737
S5 S 0.0808 0.8469 0.6603
S6 S 0.0998 0.4798 0.6580
S7 S 0.1905 0.1718 0.5660
S8 S 0.1990 0.1750 0.1997
S9 S 0.2467 0.8517 0.3830
S10 S 0.2503 0.4895 0.3746
S11 S 0.2497 0.9895 0.8746
S12 S 0.2533 0.3517 0.8830
S13 S 0.3010 0.6750 0.6997
S14 S 0.3095 0.6718 0.0660
S15 S 0.4002 0.9798 0.1580
S16 S 0.4192 0.3469 0.1603
S17 S 0.4318 0.1791 0.6737
S18 S 0.4938 0.8743 0.4839
S19 S 0.5000 0.4943 0.4943
S20 S 0.5000 0.8634 0.8634
S21 S 0.5062 0.4839 0.8743
S22 S 0.5682 0.6737 0.1791
S23 S 0.5808 0.1603 0.3469
S24 S 0.5998 0.1580 0.9798
S25 S 0.6905 0.0660 0.6718
S26 S 0.6990 0.6997 0.6750
S27 S 0.7467 0.8830 0.3517
S28 S 0.7497 0.3746 0.4895
S29 S 0.7503 0.8746 0.9895
S30 S 0.7533 0.3830 0.8517
*/

Then towards the end of the day, things started to cloud up a bit, and only now it felt like I could stand outside of car, with no beating sun. Things really got going now back at El Planeron, where I managed another immature Golden Eagle, 3 Spectacled Warblers and best of all, a Pin-tailed Sandgrouse through the scope. Brilliant, and what a relief!
I suppose I should've tried again for Dupont's Lark the next morning, my last in this trip. But I didn't because I knew I'd be back home late, in the early hours of the Saturday. And typically, by the time I left the plains the temperature had cooled right down.
Anyway, a few hours of driving back to Barcelona. Along the way, some schoolboy humour was had at a motorway service station. I missed this chance in Portugal, not going to miss it this time!!!

If you didn't already know, then next to Barcelona airport is the Llobregat Delta. Which was an excellent place to finish off. Highlights here included 4 Collared Pratincoles, 16 Audouin's Gulls, 7 Gull-billed Terns, 2 Purple Gallinules, 1 Kentish Plover, Spanish Yellow Wagtail. And all sorts of other birds that you just wouldn't see in the Pyrenees or the plains.

And if you're really bored, you can try some plane spotting as they come in to land at the airport.

- - -
This entry pairs a crystal structure of LiSmPuGe with its calculated powder XRD pattern. Radiation: Cu Kα X-rays. Structure: a crystal structure in Alexandria, relaxed with PBE.
Intensities are scaled so that the largest is 100.

Main lines, in order of rising 2θ (10 to 90 degrees two-theta):
2theta	d [Å]	intensity
24.62	3.616	52
35.10	2.557	100
50.48	1.808	18
56.95	1.617	22
62.97	1.476	37
84.79	1.143	17

Structure:
Lattice parameters (Å, degrees): 5.113 5.113 5.113 60.00 60.00 60.00
Positions (direct):
Li (0.000, 0.000, 0.000)
Sm (0.250, 0.250, 0.250)
Pu (0.750, 0.750, 0.750)
Ge (0.500, 0.500, 0.500)

=====

Record 1
This entry pairs a crystal structure of Cs2Cr3F10 with its simulated X-ray powder pattern. Radiation: Cu Kα. Structure: a crystal structure in Alexandria, relaxed with PBE+U.

Top 10 peaks for 2θ from 15° to 90°, sorted by position:
26.3°, I 68
26.4°, I 100
26.6°, I 56
27.6°, I 27
30.2°, I 16
34.3°, I 17
36.9°, I 29
38.7°, I 49
53.3°, I 18
57.0°, I 15

Crystal structure
```
30
Lattice="10.019 -3.229 0.000 10.019 3.229 0.000 -3.245 0.000 7.433" Properties=species:S:1:pos:R:3 pbc="T T T"
Cs 2.241 0.000 0.070
Cs 2.356 0.000 4.489
Cs 14.436 0.000 2.944
Cs 14.551 0.000 7.363
Cr 8.396 1.638 3.717
Cr 5.897 0.000 1.065
Cr 5.908 0.000 6.095
Cr 10.884 0.000 1.338
Cr 10.895 0.000 6.368
Cr 8.396 -1.638 3.717
F 5.009 1.614 0.000
F -0.843 0.000 2.715
F 5.168 1.382 5.084
F 6.785 1.355 2.113
F 4.375 0.000 2.158
F 10.019 1.244 0.000
F 4.228 0.000 7.207
F 10.007 1.355 5.320
F 11.624 1.382 2.349
F 7.517 0.000 4.822
F 5.009 -1.614 0.000
F 9.275 0.000 2.611
F 5.168 -1.382 5.084
F 6.785 -1.355 2.113
F 12.564 0.000 0.226
F 10.019 -1.244 0.000
F 12.417 0.000 5.275
F 10.007 -1.355 5.320
F 11.624 -1.382 2.349
F 17.635 0.000 4.718
```

---

Record 2
This entry pairs a crystal structure of Cs2Cr3F8 with its simulated X-ray powder pattern. Radiation: Cu Kα. Structure: a crystal structure in Alexandria, relaxed with PBE+U.

Top 10 peaks for 2θ from 15° to 90°, sorted by position:
20.1°, I 58
23.5°, I 86
24.4°, I 89
25.2°, I 100
27.5°, I 25
29.6°, I 64
30.8°, I 47
37.9°, I 45
45.5°, I 61
47.9°, I 40

Crystal structure
```
13
Lattice="6.865 -3.416 0.000 6.865 3.416 0.000 -1.919 0.000 5.507" Properties=species:S:1:pos:R:3 pbc="T T T"
Cs 2.604 0.000 0.959
Cs 9.208 0.000 4.548
Cr 5.906 1.704 2.754
Cr 6.865 0.000 0.000
Cr 5.906 -1.704 2.754
F 0.408 0.000 2.766
F 5.617 1.457 0.740
F 6.194 1.457 4.767
F 4.515 0.000 3.166
F 7.296 0.000 2.341
F 5.617 -1.457 0.740
F 6.194 -1.457 4.767
F 11.403 0.000 2.741
```

---

Record 3
This entry pairs a crystal structure of CsCr2H2F6 with its simulated X-ray powder pattern. Radiation: Cu Kα. Structure: a crystal structure in Alexandria, relaxed with PBE+U.

Top 10 peaks for 2θ from 15° to 90°, sorted by position:
19.9°, I 100
26.7°, I 50
27.3°, I 22
28.8°, I 89
30.2°, I 24
32.8°, I 73
38.7°, I 21
40.5°, I 34
41.9°, I 26
56.4°, I 21

Crystal structure
```
11
- - -
Here the piece continues =

So that was it. Ending up with a bird list of 139 and 13 lifers, and got through an unbelievable amount of red wine!
Whilst waiting in the airport, the departure terminal gradually built up with FC Barcelona supporters, using flights to Luton, Gatwick and Stansted to get to Wembley for the champions league final. We all know what happened there. The plane to Luton was rocking to Barcelona chants, they even tried a mexican wave at one point!